== Job ==
Echo everything underneath without altering anything.

== Given ==
********
VASP calculation (GGA-PBE) on crystalline YTm2Au2 at its relaxed geometry.

Theoretical density: 11.027 g cm⁻³
Symmetry: P4/mbm
Formation energy from the elements: -3.6 eV/f.u.

Unit cell a=3.743 b=8.126 c=8.126 alpha=90.00 beta=90.00 gamma=90.00
Sites, in units of the cell vectors:
1 Y 0.000 0.000 0.000
2 Y 0.000 0.500 0.500
3 Tm 0.500 0.161 0.661
4 Tm 0.500 0.661 0.839
5 Tm 0.500 0.839 0.339
6 Tm 0.500 0.339 0.161
7 Au 0.000 0.366 0.866
8 Au 0.000 0.866 0.634
9 Au 0.000 0.634 0.134
10 Au 0.000 0.134 0.366

----------

(1)
The following is a DFT calculation (SCAN) of a crystal of Eu3NbO7 relaxed with PBEsol.

Structure (POSCAR):
```
Eu3NbO7
1.0
3.707 -5.330 0.000
3.707 5.330 0.000
0.000 0.000 7.638
Eu Nb O
6 2 14
Direct
0.000 0.000 0.000
0.000 0.000 0.500
0.033 0.498 0.750
0.498 0.033 0.250
0.502 0.967 0.750
0.967 0.502 0.250
0.500 0.500 0.000
0.500 0.500 0.500
0.128 0.872 0.250
0.136 0.864 0.750
0.177 0.425 0.031
0.177 0.425 0.469
0.425 0.177 0.531
0.425 0.177 0.969
0.438 0.562 0.750
0.562 0.438 0.250
0.575 0.823 0.031
0.575 0.823 0.469
0.823 0.575 0.531
0.823 0.575 0.969
0.864 0.136 0.250
0.872 0.128 0.750
```

Values from the calculation:
Symmetry: Cmcm
Uncorrected formation energy (kJ/mol of formula units): -3228

***

(2)
The following is a DFT calculation (SCAN) of a crystal of ZnHg3 relaxed with PBEsol.

Structure (POSCAR):
```
ZnHg3
1.0
-1.680 4.486 2.805
1.680 -4.486 2.805
1.680 4.486 -2.805
Zn Hg
1 3
Direct
0.000 0.000 0.000
0.404 0.686 0.718
0.592 0.092 0.500
0.968 0.686 0.282
```

Values from the calculation:
Symmetry: Imm2
E_form (eV per atom): 0.104

***

(3)
The following is a DFT calculation (SCAN) of a crystal of TeBrO2 relaxed with PBEsol.

Structure (POSCAR):
```
TeBrO2
1.0
0.000 2.997 2.997
2.997 0.000 2.997
2.997 2.997 0.000
Te Br O
1 1 2
Direct
0.000 0.000 0.000
0.500 0.500 0.500
0.250 0.250 0.250
0.750 0.750 0.750
```

Values from the calculation:
Symmetry: Fm-3m
Uncorrected formation energy (kJ/mol of formula units): 242

***

(4)
The following is a DFT calculation (SCAN) of a crystal of Ta2MnCu relaxed with PBEsol.

Structure (POSCAR):
```
Ta2MnCu
1.0
3.150 0.000 0.000
0.000 3.150 0.000
0.000 0.000 5.819
Ta Mn Cu
2 1 1
Direct
0.000 0.000 0.000
0.500 0.500 0.301
0.500 0.500 0.769
0.000 0.000 0.542
```

Values from the calculation:
Symmetry: P4mm
E_form (eV per atom): 0.030

***

(5)
The following is a DFT calculation (SCAN) of a crystal of SbAsCl3 relaxed with PBEsol.

Structure (POSCAR):
```
SbAsCl3
1.0
5.256 0.000 0.000
0.000 5.256 0.000
0.000 0.000 5.256
Sb As Cl
1 1 3
Direct
0.000 0.000 0.000
0.500 0.500 0.500
0.000 0.000 0.500
0.000 0.500 0.000
0.500 0.000 0.000
```

Values from the calculation:
Symmetry: Pm-3m
Uncorrected formation energy (kJ/mol of formula units): -20

***

(6)
The following is a DFT calculation (SCAN) of a crystal of CaSeBr2O relaxed with PBEsol.

Structure (POSCAR):
```
CaSeBr2O
1.0
5.506 0.000 0.000
0.000 5.506 0.000
0.000 0.000 5.825
Ca Se Br O
1 1 2 1
Direct
0.000 0.000 0.000
0.000 0.000 0.500
0.000 0.500 0.000
0.500 0.000 0.000
0.500 0.500 0.500
```

Values from the calculation:
Symmetry: P4/mmm
Uncorrected formation energy (kJ/mol of formula units): -100

***

Number 1 is which compound? Eu3NbO7

----------

## Sr2TiCo2O6 (PBE with a Hubbard U)

Data for a geometry-optimized Sr2TiCo2O6 structure.

## Properties
The calculation puts the total DFT energy (no corrections) at -0.494 Ry per atom. The density of states at the Fermi level is 0.53 states/eV/atom. Its symmetry is No. 166.

Lattice parameters (Å, degrees): 5.846 5.846 6.138 61.56 61.56 60.00
Last column: magnetic moment on the atom in μB.
Element x y z (fractional)
1 O 0.233 0.233 0.760  0.12
2 O 0.774 0.233 0.760  0.12
3 O 0.233 0.774 0.760  0.12
4 Sr 0.783 0.783 0.651  0.00
5 O 0.767 0.226 0.240  0.12
6 O 0.767 0.767 0.240  0.12
7 Ti 0.000 0.000 0.000  0.07
8 Sr 0.217 0.217 0.349  0.00
9 Co 0.427 0.427 0.718  2.49
10 Co 0.573 0.573 0.282  2.49
11 O 0.226 0.767 0.240  0.12
********

== Outcome ==
VASP calculation (GGA-PBE) on crystalline YTm2Au2 at its relaxed geometry.

Theoretical density: 11.027 g cm⁻³
Symmetry: P4/mbm
Formation energy from the elements: -3.6 eV/f.u.

Unit cell a=3.743 b=8.126 c=8.126 alpha=90.00 beta=90.00 gamma=90.00
Sites, in units of the cell vectors:
1 Y 0.000 0.000 0.000
2 Y 0.000 0.500 0.500
3 Tm 0.500 0.161 0.661
4 Tm 0.500 0.661 0.839
5 Tm 0.500 0.839 0.339
6 Tm 0.500 0.339 0.161
7 Au 0.000 0.366 0.866
8 Au 0.000 0.866 0.634
9 Au 0.000 0.634 0.134
10 Au 0.000 0.134 0.366

----------

(1)
The following is a DFT calculation (SCAN) of a crystal of Eu3NbO7 relaxed with PBEsol.

Structure (POSCAR):
```
Eu3NbO7
1.0
3.707 -5.330 0.000
3.707 5.330 0.000
0.000 0.000 7.638
Eu Nb O
6 2 14
Direct
0.000 0.000 0.000
0.000 0.000 0.500
0.033 0.498 0.750
0.498 0.033 0.250
0.502 0.967 0.750
0.967 0.502 0.250
0.500 0.500 0.000
0.500 0.500 0.500
0.128 0.872 0.250
0.136 0.864 0.750
0.177 0.425 0.031
0.177 0.425 0.469
0.425 0.177 0.531
0.425 0.177 0.969
0.438 0.562 0.750
0.562 0.438 0.250
0.575 0.823 0.031
0.575 0.823 0.469
0.823 0.575 0.531
0.823 0.575 0.969
0.864 0.136 0.250
0.872 0.128 0.750
```

Values from the calculation:
Symmetry: Cmcm
Uncorrected formation energy (kJ/mol of formula units): -3228

***

(2)
The following is a DFT calculation (SCAN) of a crystal of ZnHg3 relaxed with PBEsol.

Structure (POSCAR):
```
ZnHg3
1.0
-1.680 4.486 2.805
1.680 -4.486 2.805
1.680 4.486 -2.805
Zn Hg
1 3
Direct
0.000 0.000 0.000
0.404 0.686 0.718
0.592 0.092 0.500
0.968 0.686 0.282
```

Values from the calculation:
Symmetry: Imm2
E_form (eV per atom): 0.104

***

(3)
The following is a DFT calculation (SCAN) of a crystal of TeBrO2 relaxed with PBEsol.

Structure (POSCAR):
```
TeBrO2
1.0
0.000 2.997 2.997
2.997 0.000 2.997
2.997 2.997 0.000
Te Br O
1 1 2
Direct
0.000 0.000 0.000
0.500 0.500 0.500
0.250 0.250 0.250
0.750 0.750 0.750
```

Values from the calculation:
Symmetry: Fm-3m
Uncorrected formation energy (kJ/mol of formula units): 242

***

(4)
The following is a DFT calculation (SCAN) of a crystal of Ta2MnCu relaxed with PBEsol.

Structure (POSCAR):
```
Ta2MnCu
1.0
3.150 0.000 0.000
0.000 3.150 0.000
0.000 0.000 5.819
Ta Mn Cu
2 1 1
Direct
0.000 0.000 0.000
0.500 0.500 0.301
0.500 0.500 0.769
0.000 0.000 0.542
```

Values from the calculation:
Symmetry: P4mm
E_form (eV per atom): 0.030

***

(5)
The following is a DFT calculation (SCAN) of a crystal of SbAsCl3 relaxed with PBEsol.

Structure (POSCAR):
```
SbAsCl3
1.0
5.256 0.000 0.000
0.000 5.256 0.000
0.000 0.000 5.256
Sb As Cl
1 1 3
Direct
0.000 0.000 0.000
0.500 0.500 0.500
0.000 0.000 0.500
0.000 0.500 0.000
0.500 0.000 0.000
```

Values from the calculation:
Symmetry: Pm-3m
Uncorrected formation energy (kJ/mol of formula units): -20

***

(6)
The following is a DFT calculation (SCAN) of a crystal of CaSeBr2O relaxed with PBEsol.

Structure (POSCAR):
```
CaSeBr2O
1.0
5.506 0.000 0.000
0.000 5.506 0.000
0.000 0.000 5.825
Ca Se Br O
1 1 2 1
Direct
0.000 0.000 0.000
0.000 0.000 0.500
0.000 0.500 0.000
0.500 0.000 0.000
0.500 0.500 0.500
```

Values from the calculation:
Symmetry: P4/mmm
Uncorrected formation energy (kJ/mol of formula units): -100

***

Number 1 is which compound? Eu3NbO7

----------

## Sr2TiCo2O6 (PBE with a Hubbard U)

Data for a geometry-optimized Sr2TiCo2O6 structure.

## Properties
The calculation puts the total DFT energy (no corrections) at -0.494 Ry per atom. The density of states at the Fermi level is 0.53 states/eV/atom. Its symmetry is No. 166.

Lattice parameters (Å, degrees): 5.846 5.846 6.138 61.56 61.56 60.00
Last column: magnetic moment on the atom in μB.
Element x y z (fractional)
1 O 0.233 0.233 0.760  0.12
2 O 0.774 0.233 0.760  0.12
3 O 0.233 0.774 0.760  0.12
4 Sr 0.783 0.783 0.651  0.00
5 O 0.767 0.226 0.240  0.12
6 O 0.767 0.767 0.240  0.12
7 Ti 0.000 0.000 0.000  0.07
8 Sr 0.217 0.217 0.349  0.00
9 Co 0.427 0.427 0.718  2.49
10 Co 0.573 0.573 0.282  2.49
11 O 0.226 0.767 0.240  0.12